[Activity]
Return the whole of the contents below word for word, please.

[Input]
1.
The following is a DFT calculation (GGA-PBE) of a relaxed structure of TaAl2W.

POSCAR file:
```
TaAl2W
1.0
1.6688 -2.2274 0.0000
1.6688 2.2274 0.0000
0.0000 0.0000 8.8722
Ta Al W
1 2 1
Direct
0.0000 0.0000 0.0000 Ta
0.0000 0.0000 0.5040 Al
0.5000 0.5000 0.2501 Al
0.5000 0.5000 0.7404 W
```

Results
- Symmetry: Cmm2 (35)
- Calculated density: 10.54 g cm⁻³
- Calculated formation energy: 0.00 eV/atom

---

2.
The following is a DFT calculation (GGA-PBE) of a relaxed structure of PuHf2Zn.

POSCAR file:
```
PuHf2Zn
1.0
3.2090 0.0000 0.0000
0.0000 3.2090 0.0000
0.0000 0.0000 8.0852
Pu Hf Zn
1 2 1
Direct
0.0000 0.0000 0.0000 Pu
0.5000 0.5000 0.2777 Hf
0.5000 0.5000 0.7223 Hf
0.0000 0.0000 0.5000 Zn
```

Results
- Symmetry: P4/mmm (123)
- Calculated density: 13.29 g cm⁻³
- Calculated formation energy: -0.03 eV/atom

---

3.
The following is a DFT calculation (GGA-PBE) of a relaxed structure of TlSb2Se2.

POSCAR file:
```
TlSb2Se2
1.0
8.9077 0.0000 0.0000
0.0000 8.9077 0.0000
0.0000 0.0000 3.8443
Tl Sb Se
2 4 4
Direct
0.0000 0.0000 0.0000 Tl
0.5000 0.5000 0.0000 Tl
0.2011 0.2989 0.0000 Sb
0.2989 0.7989 0.0000 Sb
0.7011 0.2011 0.0000 Sb
0.7989 0.7011 0.0000 Sb
0.1507 0.6507 0.5000 Se
0.3493 0.1507 0.5000 Se
0.6507 0.8493 0.5000 Se
0.8493 0.3493 0.5000 Se
```

Results
- Formation energy (no corrections): -0.05 eV per atom
- Symmetry: P4/mbm (127)
- Calculated density: 6.60 g cm⁻³


The following is a DFT calculation (PBE) of a relaxed SmMg4Be4Zn4 crystal.

Properties
- VASP energy (eV/atom) = -2.370
- space group = I4/mmm
- calculated volume (Å³/atom) = 15.6

extended XYZ file:
```
13
Lattice="-4.4582 4.4582 2.5458 4.4582 -4.4582 2.5458 4.4582 4.4582 -2.5458" Properties=species:S:1:pos:R:3 pbc="T T T"
Sm 0.0000 0.0000 0.0000
Mg 3.0913 0.0000 0.0000
Mg 5.8250 0.0000 0.0000
Mg 0.0000 3.0913 0.0000
Mg 0.0000 5.8250 0.0000
Be 4.4582 2.7133 0.0000
Be 2.7133 4.4582 0.0000
Be 1.7449 0.0000 2.5458
Be 0.0000 1.7449 2.5458
Zn 2.2291 2.2291 -1.2729
Zn 2.2291 -2.2291 1.2729
Zn -2.2291 2.2291 1.2729
Zn 2.2291 2.2291 1.2729
```

The following is a DFT calculation (PBE) of a relaxed SmMg4Be4Zn4 crystal.

Properties
- VASP energy (eV/atom) = -2.317

[Response]
1.
The following is a DFT calculation (GGA-PBE) of a relaxed structure of TaAl2W.

POSCAR file:
```
TaAl2W
1.0
1.6688 -2.2274 0.0000
1.6688 2.2274 0.0000
0.0000 0.0000 8.8722
Ta Al W
1 2 1
Direct
0.0000 0.0000 0.0000 Ta
0.0000 0.0000 0.5040 Al
0.5000 0.5000 0.2501 Al
0.5000 0.5000 0.7404 W
```

Results
- Symmetry: Cmm2 (35)
- Calculated density: 10.54 g cm⁻³
- Calculated formation energy: 0.00 eV/atom

---

2.
The following is a DFT calculation (GGA-PBE) of a relaxed structure of PuHf2Zn.

POSCAR file:
```
PuHf2Zn
1.0
3.2090 0.0000 0.0000
0.0000 3.2090 0.0000
0.0000 0.0000 8.0852
Pu Hf Zn
1 2 1
Direct
0.0000 0.0000 0.0000 Pu
0.5000 0.5000 0.2777 Hf
0.5000 0.5000 0.7223 Hf
0.0000 0.0000 0.5000 Zn
```

Results
- Symmetry: P4/mmm (123)
- Calculated density: 13.29 g cm⁻³
- Calculated formation energy: -0.03 eV/atom

---

3.
The following is a DFT calculation (GGA-PBE) of a relaxed structure of TlSb2Se2.

POSCAR file:
```
TlSb2Se2
1.0
8.9077 0.0000 0.0000
0.0000 8.9077 0.0000
0.0000 0.0000 3.8443
Tl Sb Se
2 4 4
Direct
0.0000 0.0000 0.0000 Tl
0.5000 0.5000 0.0000 Tl
0.2011 0.2989 0.0000 Sb
0.2989 0.7989 0.0000 Sb
0.7011 0.2011 0.0000 Sb
0.7989 0.7011 0.0000 Sb
0.1507 0.6507 0.5000 Se
0.3493 0.1507 0.5000 Se
0.6507 0.8493 0.5000 Se
0.8493 0.3493 0.5000 Se
```

Results
- Formation energy (no corrections): -0.05 eV per atom
- Symmetry: P4/mbm (127)
- Calculated density: 6.60 g cm⁻³


The following is a DFT calculation (PBE) of a relaxed SmMg4Be4Zn4 crystal.

Properties
- VASP energy (eV/atom) = -2.370
- space group = I4/mmm
- calculated volume (Å³/atom) = 15.6

extended XYZ file:
```
13
Lattice="-4.4582 4.4582 2.5458 4.4582 -4.4582 2.5458 4.4582 4.4582 -2.5458" Properties=species:S:1:pos:R:3 pbc="T T T"
Sm 0.0000 0.0000 0.0000
Mg 3.0913 0.0000 0.0000
Mg 5.8250 0.0000 0.0000
Mg 0.0000 3.0913 0.0000
Mg 0.0000 5.8250 0.0000
Be 4.4582 2.7133 0.0000
Be 2.7133 4.4582 0.0000
Be 1.7449 0.0000 2.5458
Be 0.0000 1.7449 2.5458
Zn 2.2291 2.2291 -1.2729
Zn 2.2291 -2.2291 1.2729
Zn -2.2291 2.2291 1.2729
Zn 2.2291 2.2291 1.2729
```

The following is a DFT calculation (PBE) of a relaxed SmMg4Be4Zn4 crystal.

Properties
- VASP energy (eV/atom) = -2.317